ASU student organizations aim to increase voter engagement despite COVID-19
For many college students all over the country, the 2020 general election this fall will be one of the first opportunities they have to vote, and yet this age group tends to be notorious for low voter turnouts.
While ASU voting rates tend to be higher than the national average for adults between the ages of 18 and 29, nearly 20% of students here in 2016 were not registered to vote, according to the National Study of Learning, Voting, and Engagement. About 40% of the student body did not vote at all.
This year, organizations like the Undergraduate Student Government and the Andrew Goodman Foundation are working to increase voter engagement on campus. A shared goal of both of these groups is to inform students about the importance of this civic responsibility.

ASU students at the 2019 National Voter Registration Day event at ASU’s Tempe campus.
“Voting is important because there are decisions made every day on some level of government that impact students and their future in some way,” said senior Trey Leveque, the 2019–20 USG Tempe vice president of policy. Leveque helps plan many voter engagement events on campus to make the voting process more accessible to students.
Senior Cyrus Commissariat is the lead fellow for the Andrew Goodman Foundation here at ASU. This foundation aims to increase voter engagement through registering and informing voters, as well as advocating for the institution of voter-friendly policies at the school and state levels.
“Voting is how we tell the government what we’re thinking,” Commissariat said. “Policy touches our lives regardless of what we study.”
In addition to informing students about voting, these groups also aim to provide resources for students to learn more about political involvement and the voting process. One resource Leveque recommended is looking at the websites of the Secretary of State of Arizona. Another website he recommends is the page for the Maricopa County Recorder’s Office.
Many organizations on campus such as USG and Changemaker Central also offer resources for students to learn more about voting. Commissariat added that looking at partisan political groups on campus is also one way for students to learn more about voting.
For out-of-state students, Leveque and Commissariat recommended using Turbo Vote to register in their home states. However, Commissariat said that out-of-state students should consider registering to vote here in Arizona.
“A lot of the decisions that impact their lives are made right here,” Commissariat said. He also suggested that all students consider voting by mail.
Every September, the ASU representatives from the Andrew Goodman Foundation host a registration event for National Voter Registration Day. In addition to this, they work with USG to organize multiple events throughout the year.
In light of the COVID-19 pandemic, however, this year’s events will have to look somewhat different than in the past. For starters, Commissariat said that events will have to move online, with any remaining in-person events being modified to comply with social distancing guidelines.
Commissariat also said that there will be an increased focus on encouraging mail-in voting and ensuring that polling places will be safe for voters. The university itself has also taken steps to help encourage mail-in voting.
-- begin --
(1)
# Cu3Ag5
Theoretical X-ray powder pattern, a wavelength of 1.5418 Å. Input: the PBE geometry in OQMD.
Neutral-atom scattering factors, no anomalous dispersion.

Most intense lines, 2θ = 10–90°, sorted by position:
d (Å)  Rel. int.
2.300  100
2.285  97
2.019  34
1.987  32
1.951  29
1.416  20

Structure:
a = 5.643 Å, b = 3.975 Å, c = 6.173 Å
α = 90.00°, β = 115.22°, γ = 90.00°
Space group P2/m (No. 10)
Inequivalent atoms, fractional coordinates:
Cu1 0.000 0.000 0.000
Cu2 0.375 0.500 0.253
Ag1 0.123 0.500 0.767
Ag2 0.253 0.000 0.491
Ag3 0.500 0.000 0.000


(2)
# Cu4Ag5
Theoretical X-ray powder pattern, a wavelength of 1.5418 Å. Input: the PBE geometry in OQMD.
Neutral-atom scattering factors, no anomalous dispersion.

Most intense lines, 2θ = 10–90°, sorted by position:
d (Å)  Rel. int.
2.291  100
2.234  28
1.971  59
1.407  19
1.381  16
1.191  20

Structure:
a = 2.8148 Å, b = 2.8148 Å, c = 20.1091 Å
α = 90.00°, β = 90.00°, γ = 120.00°
Space group P-3m1 (No. 164)
Inequivalent atoms, fractional coordinates:
Cu1 0.3333 0.6667 0.0480
Cu2 0.3333 0.6667 0.3913
Ag1 0.0000 0.0000 0.1586
Ag2 0.0000 0.0000 0.5000
Ag3 0.3333 0.6667 0.7176


(3)
# CuAg7
Theoretical X-ray powder pattern, a wavelength of 1.5418 Å. Input: the PBE geometry in OQMD.
Neutral-atom scattering factors, no anomalous dispersion.

Most intense lines, 2θ = 10–90°, sorted by position:
d (Å)  Rel. int.
2.368  100
2.357  32
2.052  43
2.041  21
1.449  20
1.233  18

Structure:
a = 5.016 Å, b = 2.908 Å, c = 9.581 Å
α = 90.00°, β = 100.29°, γ = 90.00°
Space group P2/m (No. 10)
Inequivalent atoms, fractional coordinates:
Cu1 0.000 0.000 0.000
Ag1 0.000 0.500 0.500
Ag2 0.243 0.500 0.240
Ag3 0.248 0.000 0.754
Ag4 0.500 0.000 0.500
Ag5 0.500 0.500 0.000


(4)
# Cu3Ag5
Theoretical X-ray powder pattern, a wavelength of 1.5418 Å. Input: the PBE geometry in OQMD.
Neutral-atom scattering factors, no anomalous dispersion.

Most intense lines, 2θ = 10–90°, sorted by position:
d (Å)  Rel. int.
2.304  100
2.274  25
1.989  58
1.413  20
1.399  12
1.200  18

Structure:
a = 2.8268 Å, b = 2.8268 Å, c = 54.5642 Å
α = 90.00°, β = 90.00°, γ = 120.00°
Space group R3m (No. 160, hexagonal axes)
Inequivalent atoms, fractional coordinates:
Cu1 0.0000 0.0000 0.0000
Cu2 0.0000 0.0000 0.1175
Cu3 0.0000 0.0000 0.7485
Ag1 0.0000 0.0000 0.2481
Ag2 0.0000 0.0000 0.3740
Ag3 0.0000 0.0000 0.4915
Ag4 0.0000 0.0000 0.6264
Ag5 0.0000 0.0000 0.8700


(5)
# CuAg9
Theoretical X-ray powder pattern, a wavelength of 1.5418 Å. Input: the PBE geometry in OQMD.
Neutral-atom scattering factors, no anomalous dispersion.

Most intense lines, 2θ = 10–90°, sorted by position:
d (Å)  Rel. int.
2.379  100
2.370  99
2.056  96
1.454  39
1.242  34
1.238  17

Structure:
a = 6.506 Å, b = 7.714 Å, c = 14.493 Å
α = 79.12°, β = 77.10°, γ = 85.20°
Space group P1 (No. 1)
Inequivalent atoms, fractional coordinates:
Cu1 0.000 0.000 0.000
Cu2 0.007 0.000 0.606
Cu3 0.369 0.879 0.679
Cu4 0.755 0.757 0.952
Ag1 0.001 0.003 0.199
Ag2 0.002 0.002 0.406
-- stop --
## The piece goes on
“ASU has signed up to pioneer a new national holiday, National Vote Early Day from Oct. 22–24. We will work with USG and other partners to make this day exciting and highlight the power of voting early,” Commissariat said.
[Data records, as found in the file]
~~~
No. 1
Simulated powder X-ray diffraction pattern of Pm3SN2 for Cu Kα X-rays, from DFT lattice parameters and positions (GGA-PBE).

Structure:
Unit cell a=3.825 b=12.829 c=10.016 alpha=90.00 beta=90.00 gamma=90.00
Space group Cmcm (No. 63)
Unique sites:
Pm (0.000, 0.071, 0.250) x4
Pm (0.000, 0.379, 0.068) x8
S (0.000, 0.252, 0.750) x4
N (0.000, 0.000, 0.000) x4
N (0.000, 0.474, 0.250) x4

The 8 most intense peaks (10 to 90 degrees two-theta), by angle:
hkl	2θ/deg	I/Imax
0 4 0	27.8	16
0 2 3	30.2	100
1 3 0	31.4	18
1 3 1	32.7	45
1 5 2	46.3	15
2 0 0	47.5	15
1 3 5	56.1	17
2 2 3	57.3	19

No. 2
Simulated powder X-ray diffraction pattern of Na4PuIn15 for Cu Kα X-rays, from DFT lattice parameters and positions (GGA-PBE).

Structure:
Unit cell a=4.653 b=4.653 c=23.910 alpha=90.00 beta=90.00 gamma=90.00
Space group P4/mmm (No. 123)
Unique sites:
Na (0.000, 0.000, 0.101) x2
Na (0.000, 0.000, 0.302) x2
Pu (0.000, 0.000, 0.500) x1
In (0.000, 0.500, 0.000) x2
In (0.000, 0.500, 0.202) x4
In (0.000, 0.500, 0.401) x4
In (0.500, 0.500, 0.099) x2
In (0.500, 0.500, 0.303) x2
In (0.500, 0.500, 0.500) x1

The 8 most intense peaks (10 to 90 degrees two-theta), by angle:
hkl	2θ/deg	I/Imax
1 1 5	33.0	100
0 0 10	37.6	17
2 0 0	38.7	32
2 0 10	55.1	22
2 2 0	55.9	11
1 1 15	65.0	13
3 1 5	66.5	25
2 2 10	69.3	11

No. 3
Simulated powder X-ray diffraction pattern of NdTc2Ge2C for Cu Kα X-rays, from DFT lattice parameters and positions (GGA-PBE).

Structure:
Unit cell a=4.198 b=4.198 c=5.526 alpha=90.00 beta=90.00 gamma=90.00
Space group P4/mmm (No. 123)
Unique sites:
Nd (0.000, 0.000, 0.000) x1
Tc (0.000, 0.500, 0.500) x2
Ge (0.500, 0.500, 0.223) x2
C (0.000, 0.000, 0.500) x1

The 8 most intense peaks (10 to 90 degrees two-theta), by angle:
hkl	2θ/deg	I/Imax
1 0 1	26.7	17
1 1 1	34.3	100
1 0 2	39.0	48
2 0 0	43.1	52
1 1 2	44.8	13
2 1 2	59.5	27
2 2 0	62.6	17
3 1 1	73.3	22

What did the third record say?
Simulated powder X-ray diffraction pattern of NdTc2Ge2C for Cu Kα X-rays, from DFT lattice parameters and positions (GGA-PBE).

Structure:
Unit cell a=4.198 b=4.198 c=5.526 alpha=90.00 beta=90.00 gamma=90.00
Space group P4/mmm (No. 123)
Unique sites:
Nd (0.000, 0.000, 0.000) x1
Tc (0.000, 0.500, 0.500) x2
Ge (0.500, 0.500, 0.223) x2
C (0.000, 0.000, 0.500) x1

The 8 most intense peaks (10 to 90 degrees two-theta), by angle:
hkl	2θ/deg	I/Imax
1 0 1	26.7	17
1 1 1	34.3	100
1 0 2	39.0	48
2 0 0	43.1	52
1 1 2	44.8	13
2 1 2	59.5	27
2 2 0	62.6	17
3 1 1	73.3	22

----------

Record 1
For Na3Al2P2O8F3, a DFT-relaxed cell (PBE, the Materials Project) gives the computed X-ray diffraction stick pattern in this record (a wavelength of 1.5418 Å).
Neutral-atom scattering factors, no anomalous dispersion.

The 12 most intense peaks (10° ≤ 2θ ≤ 80°), sorted by position:
2theta  I/Imax
16.5  31.7
17.0  40.4
26.4  34.0
28.4  62.8
29.3  24.0
33.3  100.0
41.3  43.3
44.1  24.7
54.2  19.9
58.8  27.4
62.9  13.8
72.2  16.8

Structural model:
Cell: 6.2721 10.4468 6.2811 Å, 90.00 90.16 90.00°
Positions (direct):
~~~
For other upcoming events, the Andrew Goodman Foundation will be working closely with USG, Changemaker Central, and a number of other ASU organizations as a part of the new Civic Engagement Coalition.